_Input_
-- begin --
No. 1
# K2AlRe (PBE, optimized geometry)
# Calculated total energy ... -13.7 eV/cell
# Total magnetic moment ... 0.0 Bohr magnetons per cell
# DFT formation energy ... 1.161 eV per atom
# ρ ... 5.28 g/cm3
data_K2AlRe
_chemical_formula_sum 'K2 Al1 Re1'
_cell_length_a 2.826
_cell_length_b 5.520
_cell_length_c 5.877
_cell_angle_alpha 90.00
_cell_angle_beta 90.00
_cell_angle_gamma 90.00
_symmetry_space_group_name_H-M 'P m m m'
_symmetry_Int_Tables_number 47
_symmetry_space_group_name_Hall '-P 2 2'
loop_
_atom_site_label
_atom_site_type_symbol
_atom_site_fract_x
_atom_site_fract_y
_atom_site_fract_z
K1 K 0.000 0.247 0.000
Al1 Al 0.500 0.500 0.500
Re1 Re 0.500 0.000 0.500

No. 2
# La2TmPuBi4 (PBE, optimized geometry)
# Calculated total energy ... -50.5 eV/cell
# Total magnetic moment ... 5.1 Bohr magnetons per cell
# DFT formation energy ... -0.789 eV per atom
# ρ ... 9.21 g/cm3
data_La2TmPuBi4
_chemical_formula_sum 'La2 Tm1 Pu1 Bi4'
_cell_length_a 7.942
_cell_length_b 4.612
_cell_length_c 7.970
_cell_angle_alpha 90.00
_cell_angle_beta 109.53
_cell_angle_gamma 90.00
_symmetry_space_group_name_H-M 'P 1 2/m 1'
_symmetry_Int_Tables_number 10
_symmetry_space_group_name_Hall '-P 2y'
loop_
_atom_site_label
_atom_site_type_symbol
_atom_site_fract_x
_atom_site_fract_y
_atom_site_fract_z
La1 La 0.000 0.000 0.000
La2 La 0.000 0.500 0.500
Tm1 Tm 0.500 0.000 0.500
Pu1 Pu 0.500 0.500 0.000
Bi1 Bi 0.263 0.000 0.752
Bi2 Bi 0.264 0.500 0.257

No. 3
# BeTl2InPb (PBE, optimized geometry)
# Calculated total energy ... -12.0 eV/cell
# Total magnetic moment ... 0.0 Bohr magnetons per cell
# DFT formation energy ... 0.587 eV per atom
# ρ ... 7.72 g/cm3
data_BeTl2InPb
_chemical_formula_sum 'Be1 Tl2 In1 Pb1'
_cell_length_a 5.903
_cell_length_b 5.903
_cell_length_c 4.567
_cell_angle_alpha 90.00
_cell_angle_beta 90.00
_cell_angle_gamma 90.00
_symmetry_space_group_name_H-M 'P 4/m m m'
_symmetry_Int_Tables_number 123
_symmetry_space_group_name_Hall '-P 4 2'
loop_
_atom_site_label
_atom_site_type_symbol
_atom_site_fract_x
_atom_site_fract_y
_atom_site_fract_z
Be1 Be 0.000 0.000 0.000
Tl1 Tl 0.000 0.500 0.500
In1 In 0.000 0.000 0.500
Pb1 Pb 0.500 0.500 0.000

No. 4
# NdHo2Sc2 (PBE, optimized geometry)
# Calculated total energy ... -191.1 eV/cell
# Distance to the lowest polymorph of the same formula ... 0.4126 eV/atom
# Total magnetic moment ... 0.0 Bohr magnetons per cell
# DFT formation energy ... 0.540 eV per atom
# ρ ... 5.61 g/cm3
data_NdHo2Sc2
_chemical_formula_sum 'Nd8 Ho16 Sc16'
_cell_length_a 5.646
_cell_length_b 11.074
_cell_length_c 21.350
_cell_angle_alpha 90.00
_cell_angle_beta 90.00
_cell_angle_gamma 90.00
_symmetry_space_group_name_H-M 'F d d d'
_symmetry_Int_Tables_number 70
loop_
_symmetry_equiv_pos_as_xyz
'x,y,z'
'-x,-y,-z'
'-x+1/4,-y+1/4,z'
'x+1/4,y+1/4,-z'
'x,-y+1/4,-z+1/4'
'-x,y+1/4,z+1/4'
'-x+1/4,y,-z+1/4'
'x+1/4,-y,z+1/4'
'x,y+1/2,z+1/2'
'-x,-y+1/2,-z+1/2'
'-x+1/4,-y+3/4,z+1/2'
'x+1/4,y+3/4,-z+1/2'
'x,-y+3/4,-z+3/4'
'-x,y+3/4,z+3/4'
'-x+1/4,y+1/2,-z+3/4'
'x+1/4,-y+1/2,z+3/4'
'x+1/2,y,z+1/2'
'-x+1/2,-y,-z+1/2'
'-x+3/4,-y+1/4,z+1/2'
'x+3/4,y+1/4,-z+1/2'
'x+1/2,-y+1/4,-z+3/4'
'-x+1/2,y+1/4,z+3/4'
'-x+3/4,y,-z+3/4'
'x+3/4,-y,z+3/4'
'x+1/2,y+1/2,z'
'-x+1/2,-y+1/2,-z'
'-x+3/4,-y+3/4,z'
'x+3/4,y+3/4,-z'
'x+1/2,-y+3/4,-z+1/4'
'-x+1/2,y+3/4,z+1/4'
'-x+3/4,y+1/2,-z+1/4'
'x+3/4,-y+1/2,z+1/4'
loop_
_atom_site_label
_atom_site_type_symbol
_atom_site_fract_x
_atom_site_fract_y
_atom_site_fract_z
Nd1 Nd 0.125 0.125 0.125
Ho1 Ho 0.125 0.292 0.625
Sc1 Sc 0.000 0.000 0.000

No. 5
# PrHoZn4 (PBE, optimized geometry)
# Calculated total energy ... -14.4 eV/cell
# Distance to the lowest polymorph of the same formula ... 0.3585 eV/atom
# Total magnetic moment ... 0.0 Bohr magnetons per cell
# DFT formation energy ... 0.011 eV per atom
# ρ ... 6.60 g/cm3
data_PrHoZn4
_chemical_formula_sum 'Pr1 Ho1 Zn4'
_cell_length_a 3.791
_cell_length_b 3.795
_cell_length_c 9.928
_cell_angle_alpha 89.71
_cell_angle_beta 89.42
_cell_angle_gamma 89.93
-- stop --

_Request_
Filter the rows further up: keep the lines with the word "the".

_Response_
# Distance to the lowest polymorph of the same formula ... 0.4126 eV/atom
# Distance to the lowest polymorph of the same formula ... 0.3585 eV/atom